== Data ==
DFT (PBE-GGA) results for a relaxed Mg6ZnCdO8 crystal.

Unit cell a=8.6840 b=4.3796 c=4.3796 alpha=90.00 beta=90.00 gamma=90.00
With the nearest neighbours (Å) after each atom.
Sites, in units of the cell vectors:
Mg 0.0000 0.5000 0.5000  6 O 2.17-2.19
Mg 0.2433 0.5000 0.0000  6 O 2.11-2.23
Mg 0.7567 0.0000 0.5000  6 O 2.11-2.23
Mg 0.5000 0.5000 0.5000  6 O 2.18-2.19
Mg 0.2433 0.0000 0.5000  6 O 2.11-2.23
Mg 0.7567 0.5000 0.0000  6 O 2.11-2.23
Zn 0.0000 0.0000 0.0000  6 O 2.04-2.19
O 0.5000 0.0000 0.5000  2 Cd 2.19, 4 Mg 2.19-2.23
O 0.2493 0.5000 0.5000  6 Mg 2.17-2.19
O 0.0000 0.5000 0.0000  4 Mg 2.11-2.19, 2 Zn 2.19
O 0.0000 0.0000 0.5000  4 Mg 2.11-2.19, 2 Zn 2.19
O 0.2352 0.0000 0.0000  1 Zn 2.04, 4 Mg 2.19
O 0.5000 0.5000 0.0000  2 Cd 2.19, 4 Mg 2.19-2.23
O 0.7507 0.5000 0.5000  6 Mg 2.17-2.19
O 0.7648 0.0000 0.0000  1 Zn 2.04, 4 Mg 2.19
Cd 0.5000 0.0000 0.0000  6 O 2.19-2.30

Results
The total moment is 0.0 μB/f.u. The calculated volume is 10.4 Å³ per atom. As for the energy relative to the elements: -2.605 eV per atom. For the total energy, the calculation gives -5.47 eV/atom.

=====

Entry from Materials Project: crystalline SrC6 at its relaxed geometry (PBE).

Calculated values
DFT total energy (Ha/atom): -0.3011

abc: 4.3336 4.3336 9.9707
angles: 90.00 90.00 120.00
Space group P6_3/mmc (No. 194)
One atom of each set of equivalent atoms:
Sr 0.3333 0.6667 0.2500 x2
C 0.0000 0.3337 0.0000 x12


Entry from Materials Project: crystalline Na2AlInSiS2O12 at its relaxed geometry (PBE).

Calculated values
DFT total energy (Ha/atom): -0.2295

abc: 8.7958 8.8108 22.4400
angles: 89.37 89.49 60.13
Space group P1 (No. 1)
One atom of each set of equivalent atoms:
Na 0.0000 0.0000 0.0000 x1
Na 0.0002 0.3699 0.5011 x1
Na 0.3291 0.0207 0.9089 x1
Na 0.3328 0.0202 0.4098 x1
Na 0.6110 0.0513 0.8304 x1
Na 0.6131 0.7115 0.3337 x1
Na 0.6528 0.3715 0.7437 x1
Na 0.6606 0.3411 0.2398 x1
Na 0.6775 0.6631 0.6590 x1
Na 0.6800 0.0377 0.1569 x1
Na 0.9733 0.7003 0.0727 x1
Na 0.9781 0.6956 0.5789 x1
Al 0.2938 0.0265 0.7578 x1
Al 0.3169 0.0346 0.0561 x1
Al 0.6282 0.3821 0.8927 x1
Al 0.6502 0.3556 0.0904 x1
Al 0.6627 0.3622 0.5966 x1
Al 0.9713 0.6707 0.7265 x1
In 0.2967 0.0408 0.2542 x1
In 0.3135 0.0275 0.5637 x1
In 0.6359 0.3649 0.3912 x1
In 0.9431 0.7113 0.9244 x1
In 0.9487 0.7177 0.4298 x1
In 0.9752 0.7209 0.2188 x1
Si 0.0131 0.0467 0.1492 x1
Si 0.0161 0.3239 0.6600 x1
Si 0.6232 0.0925 0.9911 x1
Si 0.6315 0.6606 0.4945 x1
Si 0.6597 0.7007 0.8212 x1
Si 0.6635 0.0092 0.3202 x1
S 0.2631 0.4076 0.8235 x1
S 0.2670 0.6996 0.3258 x1
S 0.2965 0.7332 0.6628 x1
S 0.3107 0.3305 0.1518 x1
S 0.3500 0.3700 0.4968 x1
S 0.3606 0.6518 0.9931 x1
S 0.5958 0.7285 0.1522 x1
S 0.6119 0.0368 0.6622 x1
S 0.9242 0.3642 0.9920 x1
S 0.9283 0.0766 0.4968 x1
S 0.9775 0.4063 0.3250 x1
S 0.9775 0.9918 0.8225 x1
O 0.0161 0.8936 0.8805 x1
O 0.0842 0.0730 0.2125 x1
O 0.0980 0.2017 0.9955 x1
O 0.1009 0.0665 0.5003 x1
O 0.1160 0.2586 0.5959 x1
O 0.1275 0.2276 0.3229 x1
O 0.1279 0.1882 0.7130 x1
O 0.1298 0.0187 0.8128 x1
O 0.1415 0.0234 0.0926 x1
O 0.1411 0.7165 0.6766 x1
O 0.1454 0.4990 0.1569 x1
O 0.1614 0.4808 0.8791 x1
O 0.1703 0.7084 0.3807 x1
O 0.1733 0.5247 0.7719 x1
O 0.1764 0.5352 0.4949 x1
O 0.1830 0.6695 0.9891 x1
O 0.1911 0.6729 0.2716 x1
O 0.2585 0.8345 0.6064 x1
O 0.2790 0.8617 0.3228 x1
O 0.2874 0.2290 0.8151 x1
O 0.2908 0.2331 0.1020 x1
O 0.3157 0.2204 0.4989 x1
O 0.3375 0.8318 0.9967 x1
O 0.3391 0.8220 0.7111 x1
O 0.3559 0.2258 0.2080 x1
O 0.4412 0.3448 0.4390 x1
O 0.4417 0.3881 0.8273 x1
O 0.4500 0.3734 0.5482 x1
O 0.4498 0.5465 0.0459 x1
O 0.4499 0.5506 0.3261 x1
O 0.4522 0.0643 0.0010 x1
O 0.4579 0.5581 0.6564 x1
O 0.4617 0.3597 0.1428 x1
O 0.4633 0.5722 0.9378 x1
O 0.4627 0.8569 0.4983 x1
O 0.4687 0.8800 0.8071 x1
O 0.4741 0.0138 0.3175 x1
O 0.4961 0.0662 0.7143 x1
O 0.5008 0.8610 0.1045 x1
O 0.5069 0.7896 0.2109 x1
O 0.5482 0.9835 0.6090 x1
O 0.6081 0.2055 0.9290 x1
O 0.6080 0.5590 0.1406 x1
O 0.6170 0.5849 0.4296 x1
O 0.6190 0.1991 0.6503 x1

== Exercise ==
Next, echo everything further up verbatim.

== Response ==
DFT (PBE-GGA) results for a relaxed Mg6ZnCdO8 crystal.

Unit cell a=8.6840 b=4.3796 c=4.3796 alpha=90.00 beta=90.00 gamma=90.00
With the nearest neighbours (Å) after each atom.
Sites, in units of the cell vectors:
Mg 0.0000 0.5000 0.5000  6 O 2.17-2.19
Mg 0.2433 0.5000 0.0000  6 O 2.11-2.23
Mg 0.7567 0.0000 0.5000  6 O 2.11-2.23
Mg 0.5000 0.5000 0.5000  6 O 2.18-2.19
Mg 0.2433 0.0000 0.5000  6 O 2.11-2.23
Mg 0.7567 0.5000 0.0000  6 O 2.11-2.23
Zn 0.0000 0.0000 0.0000  6 O 2.04-2.19
O 0.5000 0.0000 0.5000  2 Cd 2.19, 4 Mg 2.19-2.23
O 0.2493 0.5000 0.5000  6 Mg 2.17-2.19
O 0.0000 0.5000 0.0000  4 Mg 2.11-2.19, 2 Zn 2.19
O 0.0000 0.0000 0.5000  4 Mg 2.11-2.19, 2 Zn 2.19
O 0.2352 0.0000 0.0000  1 Zn 2.04, 4 Mg 2.19
O 0.5000 0.5000 0.0000  2 Cd 2.19, 4 Mg 2.19-2.23
O 0.7507 0.5000 0.5000  6 Mg 2.17-2.19
O 0.7648 0.0000 0.0000  1 Zn 2.04, 4 Mg 2.19
Cd 0.5000 0.0000 0.0000  6 O 2.19-2.30

Results
The total moment is 0.0 μB/f.u. The calculated volume is 10.4 Å³ per atom. As for the energy relative to the elements: -2.605 eV per atom. For the total energy, the calculation gives -5.47 eV/atom.

=====

Entry from Materials Project: crystalline SrC6 at its relaxed geometry (PBE).

Calculated values
DFT total energy (Ha/atom): -0.3011

abc: 4.3336 4.3336 9.9707
angles: 90.00 90.00 120.00
Space group P6_3/mmc (No. 194)
One atom of each set of equivalent atoms:
Sr 0.3333 0.6667 0.2500 x2
C 0.0000 0.3337 0.0000 x12


Entry from Materials Project: crystalline Na2AlInSiS2O12 at its relaxed geometry (PBE).

Calculated values
DFT total energy (Ha/atom): -0.2295

abc: 8.7958 8.8108 22.4400
angles: 89.37 89.49 60.13
Space group P1 (No. 1)
One atom of each set of equivalent atoms:
Na 0.0000 0.0000 0.0000 x1
Na 0.0002 0.3699 0.5011 x1
Na 0.3291 0.0207 0.9089 x1
Na 0.3328 0.0202 0.4098 x1
Na 0.6110 0.0513 0.8304 x1
Na 0.6131 0.7115 0.3337 x1
Na 0.6528 0.3715 0.7437 x1
Na 0.6606 0.3411 0.2398 x1
Na 0.6775 0.6631 0.6590 x1
Na 0.6800 0.0377 0.1569 x1
Na 0.9733 0.7003 0.0727 x1
Na 0.9781 0.6956 0.5789 x1
Al 0.2938 0.0265 0.7578 x1
Al 0.3169 0.0346 0.0561 x1
Al 0.6282 0.3821 0.8927 x1
Al 0.6502 0.3556 0.0904 x1
Al 0.6627 0.3622 0.5966 x1
Al 0.9713 0.6707 0.7265 x1
In 0.2967 0.0408 0.2542 x1
In 0.3135 0.0275 0.5637 x1
In 0.6359 0.3649 0.3912 x1
In 0.9431 0.7113 0.9244 x1
In 0.9487 0.7177 0.4298 x1
In 0.9752 0.7209 0.2188 x1
Si 0.0131 0.0467 0.1492 x1
Si 0.0161 0.3239 0.6600 x1
Si 0.6232 0.0925 0.9911 x1
Si 0.6315 0.6606 0.4945 x1
Si 0.6597 0.7007 0.8212 x1
Si 0.6635 0.0092 0.3202 x1
S 0.2631 0.4076 0.8235 x1
S 0.2670 0.6996 0.3258 x1
S 0.2965 0.7332 0.6628 x1
S 0.3107 0.3305 0.1518 x1
S 0.3500 0.3700 0.4968 x1
S 0.3606 0.6518 0.9931 x1
S 0.5958 0.7285 0.1522 x1
S 0.6119 0.0368 0.6622 x1
S 0.9242 0.3642 0.9920 x1
S 0.9283 0.0766 0.4968 x1
S 0.9775 0.4063 0.3250 x1
S 0.9775 0.9918 0.8225 x1
O 0.0161 0.8936 0.8805 x1
O 0.0842 0.0730 0.2125 x1
O 0.0980 0.2017 0.9955 x1
O 0.1009 0.0665 0.5003 x1
O 0.1160 0.2586 0.5959 x1
O 0.1275 0.2276 0.3229 x1
O 0.1279 0.1882 0.7130 x1
O 0.1298 0.0187 0.8128 x1
O 0.1415 0.0234 0.0926 x1
O 0.1411 0.7165 0.6766 x1
O 0.1454 0.4990 0.1569 x1
O 0.1614 0.4808 0.8791 x1
O 0.1703 0.7084 0.3807 x1
O 0.1733 0.5247 0.7719 x1
O 0.1764 0.5352 0.4949 x1
O 0.1830 0.6695 0.9891 x1
O 0.1911 0.6729 0.2716 x1
O 0.2585 0.8345 0.6064 x1
O 0.2790 0.8617 0.3228 x1
O 0.2874 0.2290 0.8151 x1
O 0.2908 0.2331 0.1020 x1
O 0.3157 0.2204 0.4989 x1
O 0.3375 0.8318 0.9967 x1
O 0.3391 0.8220 0.7111 x1
O 0.3559 0.2258 0.2080 x1
O 0.4412 0.3448 0.4390 x1
O 0.4417 0.3881 0.8273 x1
O 0.4500 0.3734 0.5482 x1
O 0.4498 0.5465 0.0459 x1
O 0.4499 0.5506 0.3261 x1
O 0.4522 0.0643 0.0010 x1
O 0.4579 0.5581 0.6564 x1
O 0.4617 0.3597 0.1428 x1
O 0.4633 0.5722 0.9378 x1
O 0.4627 0.8569 0.4983 x1
O 0.4687 0.8800 0.8071 x1
O 0.4741 0.0138 0.3175 x1
O 0.4961 0.0662 0.7143 x1
O 0.5008 0.8610 0.1045 x1
O 0.5069 0.7896 0.2109 x1
O 0.5482 0.9835 0.6090 x1
O 0.6081 0.2055 0.9290 x1
O 0.6080 0.5590 0.1406 x1
O 0.6170 0.5849 0.4296 x1
O 0.6190 0.1991 0.6503 x1